
Information about the organization


DG Azev阣o's letter to journalists attending MC10

8 December 2015


Updated: November 2015

THIS EXPLANATION is designed to help the public understand developments in the 澳门六合彩官网资料. While every effort has been made to ensure the contents are accurate, it does not prejudice member governments’ positions.

Dear friends,

In the coming days, ministers from over 160 countries will gather in Nairobi for the 澳门六合彩官网资料's 10th Ministerial Conference. Their actions will have a significant impact on the course of multilateral trade negotiations for years to come. The government and people of Kenya have made tremendous efforts to ensure that this Ministerial Conference is well-prepared, well-organized and well-managed. Kenya has set the stage – now it is time for the main event.

This marks the first time our Ministerial Conference is being held in Africa and it is clear to me that all 澳门六合彩官网资料 members want to ensure that trade plays its full role as a force for growth and development in Africa and beyond. Africa has 43 澳门六合彩官网资料 members – more than any other continent. So what is good for Africa is good for the 澳门六合彩官网资料.

One way to extend the benefits of trade as a tool for growth and development is to bring new developing countries into the global trading system. At this conference, we can do precisely this when ministers decide on the membership applications of Liberia and Afghanistan – both of which are least-developed countries (LDCs). Membership of the 澳门六合彩官网资料 enables developing countries to have a voice in shaping the trade rules of the future and gives them recourse to a world-leading dispute settlement system, through which their rights can be protected.  

-- Between two parts of the entry: data records --
-- begin --
# 1
28
Properties=species:S:1:pos:R:3 method="wB97M-V/def2-TZVPD" lumo_energy_ev=0.82 energy_ev=-23775.69726
Si -0.788 2.040 0.274
Si 1.308 -0.176 -0.067
N -0.377 0.373 -0.108
C -2.333 -0.208 -1.339
C -2.220 -0.884 1.121
C 1.736 -1.003 -1.697
C 1.664 -1.273 1.515
C -1.409 -0.617 -0.184
C 2.445 1.438 0.066
H -2.615 0.839 -1.057
H 2.533 1.759 -0.914
H 2.437 -0.813 2.250
H -2.259 2.443 0.636
H -1.859 -0.005 -2.281
H -3.124 -1.019 -1.429
H 2.242 2.303 0.700
H -2.862 -1.719 1.011
H 1.920 -2.009 -1.444
H -0.647 3.111 -0.773
H -0.952 -1.523 -0.432
H 2.689 -0.578 -2.038
H 0.851 -0.958 -2.435
H 0.816 -1.435 2.161
H 2.083 -2.235 1.414
H 3.353 0.936 0.219
H -2.896 -0.104 1.462
H -0.221 2.439 1.476
H -1.515 -1.122 1.895

# 2
57
Properties=species:S:1:pos:R:3 method="wB97M-V/def2-TZVPD" lumo_energy_ev=-6.27 energy_ev=-343568.44182 total_charge=+1
Br 3.335 -7.957 -6.597
Br 3.705 -5.136 -5.113
Br 6.752 -3.213 -2.985
Br 6.279 -6.889 -5.892
Cl 2.531 1.057 0.819
Na 5.884 0.079 -3.873
F 1.033 1.996 0.562
F -1.194 2.286 1.244
F 0.249 1.072 2.585
F 0.493 3.363 2.395
O 3.086 -6.332 -2.080
O 0.781 -4.741 2.584
O 1.875 -3.466 -2.367
O 2.340 -2.294 -0.168
O 0.525 -3.938 -0.306
O 4.565 -1.311 -2.782
O 2.192 -2.824 3.161
O -4.640 7.138 0.708
O 1.011 -5.732 -2.032
N -2.003 2.700 3.812
N 2.101 -6.081 -2.859
N 5.410 -3.348 -1.351
N -6.460 4.584 1.225
C 4.466 -6.399 -6.372
C -3.097 3.082 3.683
C 2.280 -1.407 2.856
C -6.464 8.592 0.741
C -4.495 3.574 3.513
C -5.640 7.572 -0.075
B 0.127 2.185 1.720
B 4.335 -2.441 -1.909
B 1.129 -4.374 -1.525
B 2.744 -2.762 -1.462
B 1.507 -3.561 2.154
B 1.497 -3.231 0.520
Be 1.095 -7.491 -1.859
Li 5.465 -2.760 1.519
H -6.383 6.818 -0.436
H 4.516 -5.900 -7.336
H 1.185 -5.462 2.052
H -5.861 9.454 1.036
H -7.301 8.968 0.137
H -6.889 8.141 1.644
H -4.517 4.372 2.770
H -5.572 5.034 0.913
H 5.405 -3.168 -0.269
H -4.870 3.962 4.462
H -6.453 3.595 0.968
H 3.092 -1.293 2.059
H 2.682 -0.898 3.795
H -5.139 2.756 3.183
H -7.252 5.048 0.772
H 1.299 -0.921 2.572
H 4.155 -0.547 -2.294
H -6.548 4.673 2.238
H 5.046 -4.321 -1.440
H -5.389 8.096 -1.018

# 3
33
Properties=species:S:1:pos:R:3 method="wB97M-V/def2-TZVPD" lumo_energy_ev=2.81 energy_ev=-39122.78699 total_charge=-1
S -3.797 2.539 -0.691
S 1.470 -3.348 -1.632
F 0.251 0.517 -0.339
O 0.019 -0.276 2.303
O 2.916 0.421 -1.358
O 0.468 -2.533 -2.397
O -3.295 1.700 -1.828
C 1.873 -2.432 -0.099
C 3.946 0.978 -0.617
C -2.710 2.113 0.692
C -5.412 1.894 -0.052
C 3.076 -3.012 -2.459
C -0.909 0.292 3.169
H -1.752 -0.363 3.434
H 2.998 -1.989 -2.819
H -1.672 2.206 0.365
H -5.458 0.838 -0.321
H 1.139 -2.839 0.599
H 3.873 -3.118 -1.723
H 2.892 -2.621 0.237
H 4.503 1.772 -1.139
H 4.708 0.242 -0.338
H -5.445 1.915 1.037
H 3.220 -3.804 -3.191
H -2.909 2.848 1.473
H -1.489 1.082 2.674
H 2.034 0.508 -0.952
H -0.561 0.790 4.076
H -6.165 2.500 -0.543
H -0.249 -0.054 1.388
H 3.598 1.526 0.265
H -2.871 1.061 0.919
H 1.710 -1.355 -0.133

# 4
30
-- stop --
-- End of the data records --

Negotiations are also underway in a range of other areas. Members will be working until the very last minute, seeking to deliver outcomes on agriculture (which could potentially include steps on export competition and food security) and development issues, particularly a package of measures to support LDCs. Of the world's 48 LDCs, 33 are in Africa, including all of Kenya's immediate neighbours.  

In addition, it is possible that some members will finalize an agreement in Nairobi to help trade in information technology products to flow more freely. This deal to expand the Information Technology Agreement would remove tariffs on over 200 IT products which account for approximately $1.3 trillion in annual trade (around 7% of total global trade). Removing barriers to trade in these products will create opportunities for all 澳门六合彩官网资料 members and will foster the spread of technology.

Agreement on these issues would represent a significant outcome for all members – and it would serve to strengthen the 澳门六合彩官网资料 itself. But, of course, finalizing any negotiation is always very tough and there are still major gaps to be bridged between members' positions.

Ministers will also need to use the Nairobi conference to point the future direction for the organization. There is no doubt that the 澳门六合彩官网资料 plays a vital role in global economic governance – it oversees existing trade rules, settles trade disputes and supports developing countries in building their capacity to trade. However, we need to look at how we can speed up the process of reforming global trade rules. There are differing views about how best to advance this work in future. In Nairobi members will need to consider the best path forward for our negotiating work.

We have some recent inspiration on which to draw. Our last Ministerial Conference, held in Bali in 2013, produced agreement on a range of important measures including measures on agriculture, development and a deal (the Trade Facilitation Agreement) which will slash red tape at border crossings and reduce trade costs by 14.5% on average, with developing countries benefiting the most. We should also be encouraged by the recent deal to extend until 2033 an exemption on drug patent rules for LDCs, ensuring that citizens in the poorest nations will continue to have access to more affordable medicines. I hope we can build on these recent breakthroughs.

The 澳门六合彩官网资料 has delivered a great deal in the 20 years since its foundation. We are working hard to deliver more in Nairobi. But, whatever members agree at this conference, there remains an enormous amount of work for us to do to make our trading system more equitable and more responsive to our members' concerns. The world is watching and counting on us.


Roberto Azevêdo